• Data:
- - -
one | Below is crystalline Na5Ni2P2C2O14 at its relaxed geometry, with properties calculated at the PBE+U level.

Symmetry = P1 (1)
Theoretical density = 2.93 g/cm³

abc: 6.6390 8.8865 10.4353
angles: 88.50 89.91 89.79
Last column: nearest neighbours and their distance in Å.
Sites, in units of the cell vectors:
Na1 0.0105 0.7336 0.8792  5 O 2.30-2.51
Na2 0.4885 0.7294 0.3647  5 O 2.33-2.55
Na3 0.0098 0.7298 0.3662  5 O 2.34-2.57
Na4 0.5070 0.2646 0.1301  5 O 2.32-2.54
Na5 0.9962 0.2626 0.1272  5 O 2.31-2.49
Na6 0.7397 0.0874 0.3950  4 O 2.34-2.47
Na7 0.4892 0.7327 0.8810  5 O 2.32-2.51
Na8 0.7402 0.0859 0.8847  4 O 2.35-2.46
Na9 0.2594 0.9194 0.6107  4 O 2.30-2.47
Na10 0.9760 0.2779 0.6253  5 O 2.30-2.46
O1 0.2425 0.1229 0.4703  1 C 1.30
O2 0.2508 0.5458 0.7889  1 P 1.57
O3 0.7512 0.0778 0.1586  1 C 1.28
O4 0.0646 0.6833 0.6075  1 P 1.57
O5 0.7527 0.5707 0.9328  1 P 1.55
O6 0.7588 0.4559 0.2082  1 P 1.57
O7 0.7565 0.4602 0.7152  1 P 1.55
O8 0.2429 0.4322 0.5685  1 P 1.53
O9 0.2502 0.4280 0.0690  1 P 1.55
O10 0.2495 0.9237 0.8408  1 C 1.28
O11 0.0633 0.6760 0.1045  1 P 1.55
O12 0.7493 0.8400 0.2403  1 C 1.31
O13 0.2554 0.1275 0.9682  1 C 1.30
O14 0.2494 0.5445 0.2887  1 P 1.56
O15 0.5621 0.3193 0.3808  1 P 1.55
O16 0.2488 0.9213 0.3462  1 C 1.27
O17 0.2403 0.1610 0.7599  1 C 1.30
O18 0.4357 0.6796 0.6045  1 P 1.56
O19 0.7492 0.8779 0.0290  1 C 1.30
O20 0.9355 0.3184 0.3930  1 P 1.56
O21 0.7705 0.0734 0.6582  1 C 1.27
O22 0.5657 0.3229 0.8986  1 P 1.55
O23 0.7470 0.8374 0.7423  1 C 1.31
O24 0.7480 0.8738 0.5302  1 C 1.31
O25 0.2505 0.1586 0.2605  1 C 1.30
O26 0.4380 0.6741 0.1048  1 P 1.55
O27 0.7480 0.5675 0.4290  1 P 1.54
O28 0.9371 0.3196 0.8957  1 P 1.56
Ni1 0.2545 0.3468 0.8860  6 O 2.02-2.14
Ni2 0.7477 0.6521 0.6106  6 O 2.00-2.17
Ni3 0.2544 0.3458 0.3941  6 O 2.00-2.20
Ni4 0.7514 0.6541 0.1106  6 O 2.01-2.16
P1 0.7513 0.4205 0.8607  4 O 1.55-1.56
P2 0.7505 0.4185 0.3560  4 O 1.54-1.57
P3 0.2501 0.5784 0.1409  4 O 1.55-1.56
P4 0.2501 0.5799 0.6402  4 O 1.53-1.57
C1 0.2477 0.0662 0.8565  3 O 1.28-1.30
C2 0.2467 0.0637 0.3575  3 O 1.27-1.30
C3 0.7557 0.9325 0.6442  3 O 1.27-1.31
C4 0.7500 0.9352 0.1425  3 O 1.28-1.31

***

two | Below is crystalline Na5Ni2P2C2O14 at its relaxed geometry, with properties calculated at the PBE+U level.

Symmetry = P1 (1)
Theoretical density = 2.93 g/cm³

abc: 8.3801 8.3939 8.9585
angles: 90.88 91.30 103.01
Last column: nearest neighbours and their distance in Å.
Sites, in units of the cell vectors:
P1 0.7681 0.5151 0.4227  4 O 1.52-1.57
P2 0.2660 0.0174 0.4235  4 O 1.54-1.57
P3 0.2336 0.4837 0.5773  4 O 1.54-1.56
P4 0.7302 0.9796 0.5814  4 O 1.54-1.57
O1 0.5909 0.3476 0.8704  1 C 1.31
O2 0.9151 0.6641 0.4593  1 P 1.57
O3 0.6185 0.8674 0.1563  1 C 1.31
O4 0.8011 0.0546 0.4342  1 P 1.54
O5 0.1190 0.3722 0.1606  1 C 1.31
O6 0.3807 0.1361 0.8416  1 C 1.30
O7 0.6627 0.0993 0.6826  1 P 1.55
O8 0.0899 0.3351 0.5398  1 P 1.55
O9 0.0323 0.2704 0.9302  1 C 1.27
O10 0.8290 0.3894 0.3211  1 P 1.56
O11 0.9685 0.7190 0.0738  1 C 1.28
O12 0.4147 0.1649 0.4583  1 P 1.57
O13 0.9063 0.1591 0.1353  1 C 1.32
O14 0.1780 0.6148 0.6756  1 P 1.56
O15 0.5874 0.8278 0.5439  1 P 1.57
O16 0.1370 0.0780 0.3255  1 P 1.55
O17 0.4065 0.6547 0.1216  1 C 1.31
O18 0.8775 0.6321 0.8415  1 C 1.30
O19 0.0936 0.8365 0.8680  1 C 1.30
O20 0.4766 0.2273 0.0750  1 C 1.28
O21 0.6440 0.5756 0.3167  1 P 1.57
O22 0.3607 0.4259 0.6809  1 P 1.56
O23 0.8621 0.9245 0.6818  1 P 1.56
O24 0.5347 0.7801 0.9213  1 C 1.29
O25 0.1926 0.9460 0.5713  1 P 1.54
O26 0.3253 0.8884 0.3266  1 P 1.55
O27 0.6910 0.4425 0.5661  1 P 1.52
O28 0.3079 0.5542 0.4295  1 P 1.54
Na1 0.6221 0.6261 0.7306  5 O 2.29-2.47
Na2 0.2503 0.5130 0.9155  5 O 2.38-2.65
Na3 0.7430 0.4817 0.0765  5 O 2.34-2.62
Na4 0.8863 0.8762 0.2650  5 O 2.35-2.55
Na5 0.7673 0.0272 0.9160  5 O 2.39-2.66
Na6 0.6070 0.1197 0.2691  4 O 2.33-2.45
Na7 0.1280 0.6410 0.2642  5 O 2.33-2.56
Na8 0.1125 0.1375 0.7307  5 O 2.28-2.46
Na9 0.3743 0.3601 0.2681  5 O 2.33-2.58
- - -

• Job:
Work out how many lines further up have the word "O5" in them; a number is enough.

• Reply:
2